Finally a discreet Safe Deposit Box in Durban that's available 24/7 and is safer

Protect your valuables in a Vault that's graded to the same level as the banks. Choose from 4 sizes to suit your needs.


Capital Vaults The Safer Safe Deposit Box
What is a Safe Deposit Box
What's a Safe Deposit Box?

A safe deposit box is also known as a safety deposit box or a storage locker and is a storage container that holds valuables and is usually stored inside a highly secure vault.
People often call these vaults as well.

Want to know more about what a safety deposit box is? Click here to find out

What is Stored Inside a Safe Deposit Box?

Individuals and companies store a variety of items inside their safety deposit box. These include gold, jewellery, money, important documents, hard drives, important keys and recently even crypto wallets. Basically anything that is small and valuable should be stored inside a safe deposit box.

Find out what famous people store in their safe deposit boxes?

What Do You Store Inside a Safe Deposit Box
Why Can't I Just Use A Home Safe
Why do I need a Safety Deposit Box?

Some people still use a "safe" at home or at their office, to keep their valuables "secure". Unfortunately this places you and your family or employees at huge risk and is ultimately not secure at all. Criminals are more likely to target people who have safes. And most off-the-shelf "safes" are easily broken into. This is why you should de-risk your home or office by moving these valuables to an off-site Safe Deposit Box facility.

Click here for more tips on how to de-risk your home.

How do I Choose the Right Safe Deposit Box?


Not all safety deposit boxes are good. When choosing a safe deposit box facility to store your valuables, the main factors to consider are Security, Accessibility and Pricing.

A good safe deposit box service will ensure that your valuables are guarded and protected at a high level. As a minimum the facility should use an Internationally Graded Vault (of a high level and from a reputable supplier), employ CCTV Cameras which are Monitored, have Patrolling Guards, use Biometrics and Chip and Pin Authentication.

The safety box service should also be securely, discreetly and conveniently located to allow you to enter and exit without being noticed. Since people are susceptible to greed, you should not be exposed to anyone when accessing your box. Every human being that you are exposed to, undermines your security and safety.
A quick web search will confirm that most safe deposit vault thefts occur because of vault employees.

A good safe deposit box facility should be accessible 24 hours a day, 365 days a year. This way you can access your valuables when it is convenient for you without compromising security.

== Crystal structures that have nothing to do with the piece ==
~~~
Structure and computed powder diffraction line list of NaSmTe (a DFT-relaxed cell (PBE, Alexandria); Cu Kα, 1.54184 Å).
Intensities are scaled so that the largest is 100.

Main lines, low angle first (15° ≤ 2θ ≤ 90°):
- 2θ = 28.39°, 3.144 Å, rel. 48, (0 0 3)
- 2θ = 28.83°, 3.097 Å, rel. 100, (1 1 0)
- 2θ = 30.38°, 2.942 Å, rel. 75, (1 1 1)
- 2θ = 34.65°, 2.589 Å, rel. 38, (1 1 2)
- 2θ = 35.14°, 2.554 Å, rel. 55, (1 0 3)
- 2θ = 40.90°, 2.206 Å, rel. 46, (1 1 3)
- 2θ = 41.22°, 2.190 Å, rel. 54, (2 0 0)
- 2θ = 50.81°, 1.797 Å, rel. 38, (2 0 3)
- 2θ = 55.25°, 1.662 Å, rel. 30, (2 1 3)
- 2θ = 77.93°, 1.226 Å, rel. 27, (2 1 6)

Unit cell a=4.3799 b=4.3799 c=9.4316 alpha=90.00 beta=90.00 gamma=90.00
Space group P4/nmm (No. 129, origin choice 2)
One atom of each set of equivalent atoms:
Na 0.2500 0.7500 0.0000 [2 per cell]
Sm 0.2500 0.2500 0.3689 [2 per cell]
Te 0.2500 0.2500 0.7017 [2 per cell]

~~~~~

# LiNdDyMn
Calculated powder diffractogram, Cu Kα (weighted mean of Kα1 and Kα2). Input: a structure optimized by DFT (PBE).

Most intense lines, 5 to 70 degrees two-theta, most intense first:
- 35.07 deg, intensity 100.0
- 24.60 deg, intensity 54.5
- 62.92 deg, intensity 36.0
- 56.91 deg, intensity 22.6
- 50.45 deg, intensity 17.7
- 43.31 deg, intensity 16.6
- 21.27 deg, intensity 5.3
- 41.38 deg, intensity 2.6
- 55.34 deg, intensity 1.0
- 67.23 deg, intensity 0.7

Crystal structure
a = 7.2363 Å, b = 7.2363 Å, c = 7.2363 Å
α = 90.00°, β = 90.00°, γ = 90.00°
Space group F-43m (No. 216)
Inequivalent atoms, fractional coordinates:
Li 0.0000 0.0000 0.0000 (multiplicity 4)
Nd 0.2500 0.2500 0.2500 (multiplicity 4)
Dy 0.2500 0.2500 0.7500 (multiplicity 4)
Mn 0.0000 0.0000 0.5000 (multiplicity 4)

---

# Pr12SmDy2
Calculated powder diffractogram, Cu Kα (weighted mean of Kα1 and Kα2). Input: a structure optimized by DFT (PBE).

Most intense lines, 5 to 70 degrees two-theta, most intense first:
- 32.22 deg, intensity 100.0
- 29.78 deg, intensity 69.6
- 30.44 deg, intensity 69.0
- 29.05 deg, intensity 49.2
- 36.07 deg, intensity 33.5
- 28.34 deg, intensity 28.5
- 56.87 deg, intensity 20.9
- 30.84 deg, intensity 20.8
- 55.24 deg, intensity 20.2
- 59.89 deg, intensity 19.5

Crystal structure
a = 7.2633 Å, b = 11.7449 Å, c = 25.2570 Å
α = 90.00°, β = 90.00°, γ = 90.00°
Space group Cmme (No. 67)
Inequivalent atoms, fractional coordinates:
Pr 0.0000 0.0024 0.0738 (multiplicity 8)
Pr 0.0000 0.0243 0.5601 (multiplicity 8)
Pr 0.2300 0.2500 0.4153 (multiplicity 8)
Pr 0.2481 0.2500 0.8688 (multiplicity 8)
Pr 0.2500 0.0000 0.1991 (multiplicity 8)
Pr 0.2500 0.0000 0.3245 (multiplicity 8)
Sm 0.0000 0.2500 0.9988 (multiplicity 4)
Dy 0.0000 0.2500 0.2677 (multiplicity 4)
Dy 0.0000 0.2500 0.7284 (multiplicity 4)

---

# Ba3U2S9
Calculated powder diffractogram, Cu Kα (weighted mean of Kα1 and Kα2). Input: a structure optimized by DFT (PBE).

Most intense lines, 5 to 70 degrees two-theta, most intense first:
- 25.32 deg, intensity 100.0
- 33.09 deg, intensity 64.9
~~~

Finally, a safe deposit box facility has to offer value for money. If you choose an offering that is too cheap, the chances are high that you are compromising either security or accessibility.
If you choose a facility that is too expensive, then storing your valuables offsite won't be worthwhile.

Why is Capital Vaults the best Safe Deposit Box?


Exceptional Security

Your valuables are stored in a Level 7 vault - supplied and installed by Gunnebo, the leading vault manufacturer in the world. The vault is located where there is onsite security, patrolling guards, actively monitored CCTV cameras, single entry and exit point, priority police response and numerous other layers of security to make theft highly unlikely.


The Most Advanced Safe Deposit Box

The latest vault technology is used to offer you the safest safe deposit box experience ever. Advanced robotics ensure that you and your box are never watched. Robots are always accurate and they never steal. ZERO HUMAN INTERACTION means that your valuables are far more secure than they would be at a facility managed by people. No People Equals No Theft.

The Safer Safe Deposit Box


Advanced Security

We use the latest technology with the highest graded vaults (Level 7) from Gunnebo. Since they are the world leaders in Vaults (all South African Banks use them) you can rest assured that your valuables are safe.


Biometrics and Chip and Pin

Your access is authenticated by stringent biometrics and Chip and Pin protocols that cannot be overridden. This means that once you box is allocated to you - we no longer have access to it. No one but you will have control of your safe deposit box.


24/7/365 Access

You can access your safety deposit box 24 hours a day, 365 days a year. And we have no limitations to the number of times your can transact. Transacting is based on your availability.


Secure, Discreet and Convenient Location

Our facilities are in highly secure, discreet and convenient locations. They also offer camouflage so that no one knows that you've come to your vault.


No Human Interaction

Although we have staff to assist, should you require it, you never have to interact with a human being in order to access your secure locker. No humans equals No Theft.


6 Eye Protocol

Our robots are the only ones allowed inside our vaults with your valuables. Even if we wanted to get into the vaults, we would need a total of 3 independent persons to do so. These controls have been hard built into the vaults to give you complete peace of mind. Because No Humans Equals No Theft.

Capital Vaults Terminal

How does it work?

After authenticating your credentials, you instruct the terminal to call up your box (like an ATM).

The Terminal instructs the Robotics to call up your box from inside the secure vault.

Inserted here: crystal structures
____________
(1)
Simulated powder X-ray diffraction pattern of Ce5PuPd for CuKα, from a PBE-relaxed structure.
Lines closer than 0.1° are merged.

Structural model:
```
Ce5PuPd
1.0
4.9077 -3.6965 0.0000
4.9077 3.6965 0.0000
-3.8951 0.0000 9.9294
Ce Pu Pd
10 2 2
Cartesian
1.9864 3.4792 7.4470
1.9488 1.0328 1.0776
2.1142 1.4563 4.4648
0.0013 -1.0328 6.0423
5.7537 1.4563 0.4998
0.1667 -1.4563 9.4295
5.9191 1.0328 3.8871
3.8062 -1.4563 5.4645
3.9715 -1.0328 8.8518
3.9340 -3.4792 2.4823
0.0000 0.0000 0.0000
-1.9475 0.0000 4.9647
1.9864 0.5059 7.4470
3.9340 -0.5059 2.4823
```

Principal peaks in the range 2θ = 5–70°, low angle first:
2θ (°)	I/Imax
15.4	55
20.8	52
29.9	62
30.3	37
31.1	51
34.2	34
34.2	100
36.4	39
37.8	35
46.7	42

***

(2)
Simulated powder X-ray diffraction pattern of CePu3Pd4 for CuKα, from a PBE-relaxed structure.
Lines closer than 0.1° are merged.

Structural model:
```
CePu3Pd4
1.0
3.1948 0.0000 0.0000
0.0000 5.2351 0.0000
0.0000 0.0000 10.4616
Ce Pu Pd
1 3 4
Cartesian
0.0000 0.0000 0.0000
0.0000 0.0000 5.2308
0.0000 2.6176 2.6333
0.0000 2.6176 7.8282
1.5974 0.0000 2.5918
1.5974 0.0000 7.8698
1.5974 2.6176 0.0000
1.5974 2.6176 5.2308
```

Principal peaks in the range 2θ = 5–70°, low angle first:
2θ (°)	I/Imax
8.5	4
24.1	15
27.9	5
34.3	62
37.2	100
44.8	6
49.3	23
57.7	7
63.3	43
68.9	17

***

(3)
Simulated powder X-ray diffraction pattern of Ce6PuPd3 for CuKα, from a PBE-relaxed structure.
Lines closer than 0.1° are merged.

Structural model:
```
Ce6PuPd3
1.0
6.4697 0.0000 0.0000
0.0000 7.6762 0.0000
-6.0464 0.0000 10.1155
Ce Pu Pd
12 2 6
Cartesian
-0.7520 0.3209 2.3350
-3.7752 3.5172 7.3928
0.9043 5.4540 0.6140
-2.1189 6.0604 5.6717
2.1155 1.1539 0.5615
-0.9077 2.6842 5.6192
1.3310 4.9920 4.4963
-1.6922 6.5223 9.5540
2.5421 1.6159 4.4438
-0.4811 2.2222 9.5015
4.1985 4.1591 2.7227
1.1753 7.3553 7.7805
0.0000 0.0000 0.0000
-3.0232 3.8381 5.0577
-2.4481 0.7535 7.4078
0.5751 3.0846 2.3500
0.2116 0.0000 5.0577
3.2348 3.8381 0.0000
-0.1519 4.5916 7.7655
2.8713 6.9227 2.7077
```

Principal peaks in the range 2θ = 5–70°, low angle first:
2θ (°)	I/Imax
14.5	82
17.9	62
30.0	52
31.0	69
31.6	90
32.7	95
35.5	100
37.8	97
46.7	66
53.8	48

***

(4)
Simulated powder X-ray diffraction pattern of CePuPd3 for CuKα, from a PBE-relaxed structure.
Lines closer than 0.1° are merged.

Structural model:
```
CePuPd3
1.0
2.7800 1.6050 7.9166
-2.7800 1.6050 7.9166
0.0000 -3.2101 7.9166
Ce Pu Pd
2 2 6
Cartesian
0.0000 0.0000 4.5504
0.0000 0.0000 19.1995
0.0000 0.0000 7.3743
0.0000 0.0000 16.3756
-1.3917 -0.8035 13.8396
0.0000 -1.6071 9.9103
-1.3918 0.8035 9.9103
1.3917 -0.8035 13.8396
0.0000 1.6071 13.8396
1.3917 0.8035 9.9103
```

Principal peaks in the range 2θ = 5–70°, low angle first:
2θ (°)	I/Imax
19.9	38
32.2	31
35.5	77
38.1	100
39.6	59
40.4	29
42.4	36
59.6	35
64.5	21
67.4	27

***

(5)
Simulated powder X-ray diffraction pattern of Ce2PuSi2Pd2 for CuKα, from a PBE-relaxed structure.
Lines closer than 0.1° are merged.

Structural model:
```
Ce2PuSi2Pd2
1.0
____________

Your box is brought to the terminal through the vault and secure shafts.

You transact and deposit your box back the way it came once you're done.

Enter and Transact
Enter and Transact

To access your valuables, you simply enter one of our Privacy Suites at any time of the day.
Use your allocated chip card, enter your chosen pin number and scan your registered fingerprint.
The terminal will then call up your safe deposit box from the vault and you can transact with peace of mind.

Our Privacy Suites look like luxurious lounges because we want you to feel comfortable and at peace while accessing your valuables. Each Suite has a money counting machine, a counterfeit note detection light and a scale - just to make your visit more convenient.

Deposit and Exit

When you're done, simply press deposit at the terminal, and your safety deposit box will be returned to the vault securely. You can now exit. Simple as that.

Our Privacy Suites not only look great, but they are very safe. There is a phone linked directly to 24 hour security and a CCTV monitor with cameras covering the OUTSIDE of the Suite. That way you can gauge if there are any threats (as unlikely as it may be), before leaving the Privacy Suite.

Deposit and Exit

Customer Testimonials

How Big are the Boxes and How much do they Cost?

We have four different sizes of boxes and the cost depends on the term you reserve your safety box for.

Select the term (monthly, 1 Year, 2 Years or 3 Years) to see the different sizes and costs. You can even add the box you like to a cart to checkout where you can either pay online or choose to come through and pay onsite once you see the site as well.


Frequently Asked Questions and Answers about Capital Vaults

How Long Will My Application Take?

We review and approve your application within minutes. This means you can access your Safer Safe Deposit Box immediately.

How Often Can I Access My Safer Safe Deposit Box?

You can access your safer safe deposit box as many times as you would like – 24/7/365.

What documents do I need to sign up?

We don’t need any documents from you in order to allocate a box to you. We just need your email address and your contact number so that we always have a verified channel to contact you on.

What Can I Store in My Safer Safe Deposit Box?

People choose to keep many different things in their safer safe deposit box, but most tend to store possessions that are difficult to replace or hold sentimental value.

A few examples of this would include include:

Wills, Jewellery, Birth Certificates, Passports, Krugerrands, House deeds, Hard drives, Crypto Wallets, Cash, Keys, Gold Antiques, Family Heirlooms.

How Much of Privacy Will I Have When I Access My Safety Deposit Box?

Safe Deposit boxes are delivered securely and robotically to our Privacy Suites where you will have complete privacy.

What Happens to My Box and Contents if I Pay My Rental Fee Late?

If your safe deposit box rental fee is paid late, your contents will still be stored securely in our vault for a minimum period of 180 days. You will however not have access to your box during this period until your account is brought back to order.

If Your System is Automated, Does That Mean That My Box Can be Hacked?

Our vaults are completely isolated from the Internet and because of this, they CANNOT be accessed or hacked.

They were also built to the highest standards by, Gunnebo, one of the leading manufacturers of safes and vaults worldwide.

What Happens to My Box and Contents if I Pay My Rental Fee Late?

If your safe deposit box rental fee is paid late, your contents will still be stored securely in our vault for a minimum period of 180 days. You will however not have access to your box during this period until your account is brought back to order.